302 resultados para zinc phosphate
The urinary excretion, renal clearance, and tubular reabsorption of zinc were investigated in 30 adult healthy subjects under basal conditions and during the zinc and glucose tolerance tests. After a 12h overnight fast, each subject was submitted to renal clearance of zinc. The procedures were performed between 8.00 and 12.00 a.m., after emptying the bladder and ingestion of 4 ml deionized water/kg body weight at 8.00 a.m. The first urine sample was collected at 10.00 a.m., and the second at 12.00 a.m. A dose of 110 mg ZnSO47H2O was administered orally to each subject, diluted in 20 ml deionized water, at time 0 min. Blood samples were collected from an antecubital vein at times -30, 0, and 30 min and at 30 min intervals up to 240 min. Glucose was administered intravenously (0.5 ml 50%/kg body weight) during the first 3 min of the test, and blood samples were collected from an unconstricted, contralateral, antecubital vein at times -30, 0, 3, 5, 10, 20, 30, 45, 60, and 90 min. The results showed that urinary zinc excretion, and renal zinc clearance were significantly higher during the zinc and glucose tolerance tests than in the control condition. On the other hand, renal zinc clearance was more elevated during tile glucose tolerance test than during the zinc tolerance test. Variations in zinc tubular reabsorption and glomerular filtration rate were not detected. The results suggest that urinary excretion and renal clearance of zinc in healthy subjects increase during acute zinc ingestion and glucose infusion, Although zinc ingestion raised urinary zinc excretion, glucose infusion was more effective in increasing renal zinc clearance. These normal parameters are important in the investigation of diabetic patients with serum and urine zinc changes.
**Next to the text, the page also holds calculated molecules:**
- - -
Molecular formula: C3H7N3O2
Method: DFT, ωB97M-V/def2-TZVPD

Last column: Löwdin charge in e.
Element x y z (Å)
C -1.10 1.71 -1.85  -0.060
C -0.41 0.40 -0.94  -0.345
C 0.44 0.34 1.97  -0.316
H -1.31 2.65 -1.03  0.108
H -2.09 1.56 -2.88  0.162
H -0.29 1.65 -2.71  0.046
H 0.65 -1.03 0.12  0.093
H -0.27 1.15 2.18  0.129
H 1.22 -1.97 -1.87  0.061
H 0.06 -2.24 -0.31  0.277
N -0.11 -0.67 1.05  -0.067
N 0.26 -0.31 -1.70  0.007
N 0.74 -1.52 -1.17  -0.035
O -1.04 -0.04 0.28  -0.125
O 1.31 0.17 2.75  0.064

Results
electronic energy = -11780.8429 eV
net charge = 0
max |F| = 6.493 eV Å⁻¹
energy above the lowest of the compared OMol25 structures with the same formula, charge and spin = 10.470 eV

----------

[1]
2 unconnected molecules or ions with the total composition C3H7NOS in a non-equilibrium geometry. Source: the OMol25 dataset; level of theory: ωB97M-V/def2-TZVPD.

Structure (XYZ):
```
13
Properties=species:S:1:pos:R:3:forces:R:3
C 0.160 1.307 2.567 0.754 -0.996 0.435
C 0.131 -1.252 -1.351 -2.944 -2.788 -2.128
C -0.530 0.858 0.008 -1.950 -0.830 -0.072
N 0.503 -0.063 -0.514 2.366 -0.581 -3.329
O 1.027 0.538 2.578 0.446 -0.210 -0.691
S -0.976 2.247 2.989 -1.260 1.301 0.281
H -0.543 -1.919 -0.761 0.656 0.636 0.032
H -0.549 -1.063 -2.248 0.695 1.026 1.381
H 0.796 -1.993 -1.916 0.647 1.467 1.528
H -1.030 1.231 -0.964 0.354 -0.508 1.563
H -1.262 0.119 0.589 1.111 1.503 -1.322
H 1.102 -0.467 0.188 0.174 0.322 0.879
H 1.171 0.456 -1.165 -1.049 -0.342 1.444
```
Forces are in eV/Å.

Properties
**Total charge**: 0
**Largest force on an atom**: 4.6 eV/Å
**Energy relative to the best compared isomer or geometry (same formula, charge and spin)**: 95.3 kcal per mole
**Energy**: -646.5602 a.u.
**HOMO**: -7.05 eV

These are the Mulliken partial charges, in e, on atoms 1 to 8: 0.6477 -0.9041 -0.8972 -0.1669 -0.3948 -0.3160 0.3401 0.3178

[2]
2 unconnected molecules or ions with the total composition CH4N2O3 in a non-equilibrium geometry. Source: the OMol25 dataset; level of theory: ωB97M-V/def2-TZVPD.

Structure (XYZ):
```
10
Properties=species:S:1:pos:R:3:forces:R:3
O 1.438 -2.526 0.071 0.043 0.246 0.183
N 0.590 -1.687 0.147 -0.559 0.154 1.718
O 0.181 -1.116 1.170 1.383 -2.188 -1.485
O 0.005 -1.430 -1.061 0.968 -1.340 -0.571
H -0.540 -0.655 -0.982 -0.993 1.418 1.200
C -0.152 1.742 -0.133 -0.606 -2.419 -0.926
N -0.759 0.740 0.339 -0.515 0.846 -0.051
H -0.017 2.702 0.206 0.453 2.111 1.637
H 0.281 1.532 -1.090 0.100 0.414 -0.954
H -1.026 0.698 1.334 -0.273 0.759 -0.751
```
Forces are in eV/Å.

Properties
**SMILES**: O=[N+]([O-])O.C=N
**Total charge**: 0
**Largest force on an atom**: 3.0 eV/Å
**Energy relative to the best compared isomer or geometry (same formula, charge and spin)**: 77.0 kcal per mole
**Energy**: -375.5445 a.u.
**HOMO**: -10.12 eV

These are the Mulliken partial charges, in e, on atoms 1 to 8: -0.5399 1.0176 -0.4815 -0.4261 0.4600 -0.1663 -0.5497 0.3166

[3]
- - -
Background: Glucosamine 6-phosphate deaminase from Escherichia coli is an allosteric hexameric enzyme which catalyzes the reversible conversion of D-glucosamine 6-phosphate into D-fructose 6-phosphate and ammonium ion and is activated by N-acetyl-D-glucosamine 6-phosphate. Mechanistically, it belongs to the group of aldose-ketose isomerases, but its reaction also accomplishes a simultaneous amination/deamination. The determination of the structure of this protein provides fundamental knowledge for understanding its mode of action and the nature of allosteric conformational changes that regulate its function. Results: The crystal structure of glucosamine 6-phosphate deaminase with bound phosphate ions is presented at 2.1 Å resolution together with the refined structures of the enzyme in complexes with its allosteric activator and with a competitive inhibitor. The protein fold can be described as a modified NAD-binding domain. Conclusions: From the similarities between the three presented structures, it is concluded that these represent the enzymatically active R state conformer. A mechanism for the deaminase reaction is proposed. It comprises steps to open the pyranose ring of the substrate and a sequence of general base-catalyzed reactions to bring about isomerization and deamination, with Asp72 playing a key role as a proton exchanger.
Forty two soil isolates (31 bacteria and 11 fungi) were studied for their ability to solubilize rock phosphate and calcium phosphate in culture medium. Eight bacteria and 8 fungi possessed solubilizing ability. Pseudomonas cepacia and Penicillium purpurogenum showed the highest activity. There was a correlation between final pH value and titratable acidity (r = - 0.29 to -0.87) and between titratable acidity and soluble phosphate (r = 0.22 to 0.99). Correlation values were functions of insoluble phosphate and of the group of microorganisms considered. A high correlation was observed between final pH and soluble phosphate only for the rock phosphates inoculated with the highest concentration of solubilizing bacteria (r = -0.73 to -0.98).
Transthyretin and retinal-binding protein are sensitive markers of acute protein-calorie malnutrition both for early diagnosis and dietary evaluation. A preliminary study showed that retinal-binding protein is the most sensitive marker of protein-calorie malnutrition in cirrhotic patients, even those with the mild form of the disease (Child A). However, in addition to being affected by protein-calorie malnutrition, the levels of these short half-life-liver-produced proteins are also influenced by other factors of a nutritional (zinc, tryptophan, vitamin A, etc) and non-nutritional (sex, aging, hormones, renal and liver functions and inflammatory activity) nature. These interactions were investigated in 11 adult male patients (49.9 ± 9.2 years of age) with alcoholic cirrhosis (Child-Pugh grade A) and with normal renal function. Both transthyretin and retinol binding protein were reduced below normal levels in 55% of the patients, in close agreement with their plasma levels of retinal. In 67% of the patients (4/6), the reduced levels of transthyretin and retinal-binding protein were caused by altered liver function and in 50% (3/6) they were caused by protein-calorie malnutrition. Thus, the present data, taken as a whole, indicate that reduced transthyretin and retinal-binding protein levels in mild cirrhosis of the liver are mainly due to liver failure and/or vitamin A status rather than representing an isolated protein-calorie malnutrition indicator.
Someone pasted records of molecules at this point =
-- begin --
No. 1
{"formula": "C2HNO4", "method": "ωB97M-V/def2-TZVPD", "lumo_ha": -0.0278, "gap_ev": 9.82, "smiles": "O=CC(=O)[N+](=O)[O-]", "total_energy_ha": -432.358508, "relative_energy_kj_mol": 405.64, "e_homo_ev": -10.58, "species": ["O", "C", "C", "O", "N", "O", "O", "H"], "coordinates": [[-1.916, -0.819, 0.890], [-0.858, -0.351, 0.996], [0.419, -0.583, -0.232], [0.727, -1.625, -0.705], [0.724, 0.697, -0.825], [1.656, 1.313, -0.489], [-0.199, 1.165, -1.505], [-0.553, 0.203, 1.870]]}


No. 2
{"formula": "C2HNO4", "method": "ωB97M-V/def2-TZVPD", "lumo_ha": -0.0156, "gap_ev": 9.68, "total_energy_ha": -432.308139, "relative_energy_kj_mol": 537.89, "e_homo_ev": -10.11, "species": ["C", "C", "N", "O", "O", "O", "O", "H"], "coordinates": [[-1.493, 0.815, -0.018], [-0.443, -0.113, 0.012], [0.656, -0.725, -0.159], [1.059, -1.858, -0.245], [-1.780, 1.947, -0.016], [1.654, 0.251, -0.030], [-1.873, -0.481, -0.255], [2.219, 0.162, 0.712]]}

~~~~~

# 1
DFT (ωB97M-V/def2-TZVPD) results for one molecule with the formula CH5N3O in a non-equilibrium geometry.

For the total energy, the calculation gives -7633.390 eV. For the HOMO-LUMO gap, the calculation gives 10.47 eV. The value obtained for the molecular weight is 75.07 g/mol. The relative energy (zero: lowest compared OMol25 entry of this formula, charge and spin) is 51.8 kcal/mol.

Each line ends with the Löwdin charge.
Geometry (Å):
N1 -0.041 1.790 0.299  0.053
N2 -0.475 0.601 -0.735  0.020
C1 -0.388 -0.769 -0.113  -0.535
N3 0.739 -1.310 0.464  0.135
O1 -1.498 -1.399 -0.135  -0.020
H1 0.836 2.050 -0.238  0.084
H2 0.087 1.356 1.137  -0.005
H3 -1.440 0.619 -0.880  0.055
H4 1.279 -0.599 0.212  0.004
H5 0.902 -2.340 -0.011  0.210

Atoms 1-2, force components in eV/Å:
N -0.38 -0.54 -6.76
N 3.52 -0.75 3.62

---

# 2
DFT (ωB97M-V/def2-TZVPD) results for C33H30BCl2N6O4S3Sr as an isolated structure in a non-equilibrium geometry.

For the total energy, the calculation gives -110908.776 eV. For the HOMO-LUMO gap, the calculation gives 6.12 eV. The value obtained for the molecular weight is 840.18 g/mol. The relative energy (zero: lowest compared OMol25 entry of this formula, charge and spin) is 48.9 kcal/mol. The charge is -1.

Each line ends with the Löwdin charge.
Geometry (Å):
Sr1 -0.273 -0.286 0.435  1.143
O1 -4.422 -0.565 1.700  0.156
C1 -3.198 -0.799 1.260  -0.491
O2 -2.223 -0.336 1.792  -0.163
C2 -3.111 -1.713 0.088  -0.183
C3 -4.217 -2.264 -0.531  0.029
C4 -4.001 -3.217 -1.513  -0.028
C5 -2.705 -3.573 -1.844  -0.018
C6 -1.657 -2.902 -1.229  -0.279
N1 -1.864 -2.001 -0.279  0.023
C7 -0.204 -3.284 -1.450  -0.529
O3 0.104 -3.825 -2.635  0.092
O4 0.599 -3.184 -0.567  0.110
H1 -4.336 0.100 2.402  0.148
H2 -5.209 -1.953 -0.236  0.124
H3 -4.840 -3.691 -2.006  0.113
H4 -2.509 -4.363 -2.556  0.124
H5 -0.401 -3.368 -3.329  0.101
C8 4.608 1.613 -0.140  -0.053
N2 4.216 0.635 -1.133  -0.133
C9 4.970 -0.450 -1.557  -0.067
C10 4.185 -1.163 -2.387  -0.072
N3 2.956 -0.532 -2.483  -0.008
B1 1.673 -1.197 -3.107  -0.462
-- stop --
Solid M-Ox compounds, where M represents Mg(II), Zn(II), Pb(II) and NbO(III), and Ox is 8-quinolinol, have been prepared. Thermogravimetry, derivative thermogravimetry (TG, DTG), differential scanning calorimetry (DSC), nuclear magnetic resonance (NMR) and infrared absorption spectra (IR) have been used to characterize and to study the thermal stability and thermal decomposition of these compounds. © 1997 Akadémiai Kiadó.
Zinc oxide can be obtained by thermal decomposition of hydrozincite, a topochemical reaction. This work reports the relation between zinc oxide morphology and the precursor zinc hydroxide carbonate precipitation time. The morphological evolution was monitored by SEM, IR and XRD. Zinc oxide obtained from initially precipitated hydrozincite consists of porous spherical aggregates and shows a single Zn-O IR vibrational band. At longer periods of precipitation time the aggregates were transformed into spherulitic-shaped zinc oxide particles showing the Zn-O split vibrational band. X-ray patterns show that the hexagonal zinc oxide phase is substantially increased as a function of hydrozincite precipitation time. © 1997 Elsevier Science S.A.
Cellulose phosphate (CELLPHOS) was studied as a collector for analytical preconcentration of traces of Cd(II), Cr(III), Cu(II) and Ni(II) from aqueous sample solution. It has been proved that using chromatographic columns packed with CELLPHOS for preconcentration and 1.0 mol 1 -1 HCl for elution the adsorbed analytes are quantitatively enriched. An enrichment factor of 20 (100 ml sample, 5 ml concentrate) was achieved by this separation procedure, which was applied to a series of water analyses (river, sea, bog water).
Zinc oxide varistors are very complex systems, and the dominant mechanism of voltage barrier formation in these systems has not been well established. Yet the MNDO quantum mechanical theoretical calculation was used in this work to determine the most probable defect type at the surface of a ZnO cluster. The proposed model represents well the semiconducting nature as well as the defects at the ZnO bulk and surface. The model also shows that the main adsorption species that provide stability at the ZnO surface are O-, O2 -, and O2.
In this work, zinc oxide samples were obtained from hydroxycarbonate by thermal decomposition at 300°C. Zinc hydroxycarbonate samples were produced by homogeneous precipitation over different periods of time. The method used to obtain zinc oxide produces different morphologies as a function of the precursor precipitation time. Among the obtained particle shapes were porous spherical aggregates, spherulitic needle aggregates, and single acicular particles. This work investigated spherulitic needle-aggregate formation and the correlation among morphology, domain size, and microstrain. Transmission electron microscopy data revealed that the acicular particles that form the spherulitic needle aggregates consist of nanometer crystallites. Apparent crystallite size and microstrain in the directions perpendicular to (h00), (h0l), (hk0), and (00l) planes were invariable as a function of precursor precipitation time. From the results, it was possible to conclude that the precursor precipitation period directly influenced the morphology of the zinc oxide but did not influence average crystallite size and microstrain for ZnO samples. Therefore, using this route, it was possible to prepare zinc oxide with different morphologies without microstructural alterations. © 2001 International Centre for Diffraction Data.
Measurements of plasma cholinesterase (pl.ChE), brain cholinesterase (Br.ChE) and brain Neuropathy Target Esterase (Br.NTE) were made in three different lineages of chickens. All birds received toxicants through gavage in a single oral dose between 08:00 and 09:00 h, after overnight fast. Babcock chickens were treated with 800 mg/kg tri-ortho-cresyl phosphate (TOCP) or 80 mg/kg trichlorfon. The TOCP group had 82% Br.NTE inhibition, when compared to the control group, and no birds displayed symptoms of clinical organophosphate-induced delayed neuropathy (OPIDN). Hy-line w36 lineage chickens were given 1600 mg/kg TOCP and despite this higher dose, Br.NTE inhibition was similar that presented by Babcock chickens. Isabrown chickens were given 1600 mg/kg TOCP or 80 mg/kg trichlorfon. At 36 h all trichlorfon treated birds had from 80 to 90% inhibition of Pl.ChE and Br.ChE, when compared to controls. However, Br.NTE was inhibited less than 20%, and there were no clinical signs of OPIDN. All TOCP treated isabrown chickens had more than 80% Br.NTE inhibition while one of them exhibited just light signs of OPIDN, two chickens became totally paralyzed. This finding suggested that chicken strain was important in the appearance of OPIDN. In addition, 70-80% of NTE inhibition was necessary but was not sufficient to produce OPIDN in chickens, since babcock and hy-line w36 chickens exhibited NTE inhibition in the range of 70-80% without clinical signs of OPIDN. © 2002 Elsevier Science Ireland Ltd. All rights reserved.
Below is a molecular structure, C3H10N4O at a distorted geometry, with properties calculated with the ωB97M-V functional and the def2-TZVPD basis.

Structure (XYZ):
```
18
Properties=species:S:1:pos:R:3
C 1.120 1.907 0.449
C -0.652 -0.529 -0.496
C -1.141 -0.889 0.906
H 0.824 2.366 -0.560
H 2.275 2.417 0.787
H 0.318 2.449 1.185
H 2.299 0.436 -0.241
H -1.777 -2.043 0.779
H -1.816 0.004 1.458
H 1.058 -1.871 0.828
H 0.583 -0.116 2.076
H -2.376 -1.155 -1.477
H -0.431 -0.018 -2.680
N 1.312 0.436 0.218
N 0.464 -0.169 -0.775
N 0.147 -1.281 1.722
N -1.308 -1.077 -1.454
O -0.901 -0.867 -2.723
```

Properties
Kohn-Sham gap = 8.543 eV
molar mass = 118.14 g/mol
HOMO level = -7.83 eV
energy relative to the best compared isomer or geometry (same formula, charge and spin) = 1005.5 kJ/mol


Density functional theory data (the ωB97M-V functional and the def2-TZVPD basis) for a molecular structure, C40H46ClIN8OTm at a distorted geometry.

Geometry as XYZ:
```
98
Properties=species:S:1:pos:R:3:forces:R:3:lowdin_charge:R:1
Tm -0.198569 0.239765 1.069768 0.3 -0.1 -0.7 1.426
C 2.037688 -1.983292 -0.093523 0.4 -0.1 0.4 -0.132
C 2.928323 -1.189889 0.877920 0.0 -0.1 0.0 -0.092
C 2.502608 -1.325201 2.315573 0.3 -0.1 -0.2 -0.258
C 3.333375 -1.996088 3.206061 -0.2 0.1 0.0 0.027
C 2.924246 -2.217322 4.509299 -0.2 0.2 -0.2 0.015
C 1.675880 -1.739404 4.883933 0.0 0.1 -0.1 -0.011
C 0.921183 -1.045732 3.957858 -0.2 0.0 0.3 -0.136
N 1.303912 -0.825705 2.684427 -0.1 0.1 0.0 -0.023
N 0.927269 -1.196910 -0.694402 -0.3 0.3 0.1 -0.244
C 1.451256 -0.369545 -1.806897 0.1 0.3 -0.3 -0.108
C 2.060333 0.950728 -1.383520 0.2 0.0 -0.1 -0.265
C 3.009365 1.543971 -2.208973 -0.2 0.0 0.2 0.021
C 3.595779 2.740497 -1.829585 -0.2 -0.1 0.2 0.016
C 3.213003 3.295613 -0.616715 -0.1 -0.1 0.0 -0.005
C 2.247408 2.656389 0.139410 0.0 0.2 0.2 -0.108
N 1.654282 1.506170 -0.227444 -0.3 -0.5 -0.1 -0.012
C -0.058266 -2.165216 -1.226594 -0.4 -0.2 -0.1 -0.119
C -0.902397 -2.808735 -0.142309 0.0 0.0 -0.1 -0.258
C -1.464481 -4.062682 -0.352155 0.0 0.2 0.1 0.024
C -2.313436 -4.602566 0.601808 0.1 0.3 0.0 0.009
C -2.546748 -3.877211 1.760868 0.1 0.1 -0.1 -0.007
C -1.931468 -2.649548 1.904691 0.0 0.0 0.2 -0.133
N -1.138679 -2.093434 0.972929 0.2 0.2 -0.1 -0.008
H 1.605618 -2.835470 0.439234 0.0 0.1 -0.1 0.139
H 2.671104 -2.384293 -0.895640 -0.2 0.0 0.0 0.145
H 2.961043 -0.138491 0.595021 0.2 -0.1 0.1 0.100
H 3.942943 -1.575430 0.794272 0.0 0.1 0.0 0.135
H 4.292942 -2.353486 2.870743 0.1 0.0 -0.1 0.133
H 3.550773 -2.749238 5.209903 0.0 0.0 0.0 0.136
H 1.295014 -1.896076 5.879711 -0.1 0.0 0.1 0.127
H -0.051011 -0.655397 4.249832 0.2 -0.1 0.0 0.043
H 0.638769 -0.140585 -2.510595 0.0 -0.2 0.2 0.143
H 2.213769 -0.925176 -2.373368 -0.3 0.0 0.1 0.148
H 3.287218 1.069793 -3.137480 0.0 -0.1 -0.1 0.134
H 4.342066 3.211494 -2.451630 0.0 0.1 0.0 0.136
H 3.654847 4.211057 -0.259374 0.0 0.1 0.1 0.122
H 1.943563 3.083172 1.089076 0.0 0.1 -0.1 0.096
H 0.445312 -2.950014 -1.811461 -0.1 0.2 0.1 0.154
Currently, there are 8 million new cases and 2 million deaths annually from tuberculosis, and it is expected that a total of 225 million new cases and 79 million deaths will occur between 1998 and 2030. The reemergence of tuberculosis as a public health threat, the high susceptibility of HIV-infected persons, and the proliferation of multi-drug-resistant strains have created a need to develop new antimycobacterial agents. The existence of homologues to the shikimate pathway enzymes has been predicted by the determination of the genome sequence of Mycobacterium tuberculosis. We have previously reported the cloning and overexpression of M. tuberculosis aro A-encoded EPSP synthase in both soluble and active forms, without IPTG induction. Here, we describe the purification of M. tuberculosis EPSP synthase (mtEPSPS) expressed in Escherichia coli BL21(DE3) host cells. Purification of mtEPSPS was achieved by a one-step purification protocol using an anion exchange column. The activity of the homogeneous enzyme was measured by a coupled assay using purified shikimate kinase and purine nucleoside phosphorylase proteins. A total of 53 mg of homogeneous enzyme could be obtained from 1 L of LB cell culture, with a specific activity value of approximately 18 U mg-1. The results presented here provide protein in quantities necessary for structural and kinetic studies, which are currently underway in our laboratory. © 2002 Elsevier Science (USA). All rights reserved.
In this communication, we show that the growth of isolate H6 of the dermatophyte Trichophyton rubrum on non-buffered medium and under saturating phosphate conditions is dependent on the initial growth pH, with an apparent optimum at pH 4.0. In addition, irrespective of the initial growth pH, the pH of the medium altered during cultivation reaching values that ranged from 8.3 to 8.9. Furthermore, this isolate synthesized and secreted almost the same levels of an alkaline phosphatase with an apparent optimum pH ranging from 9.0 to 10.0 when grown on both low- and high-phosphate medium. Also, this alkaline phosphatase is activated by Mg2+ and is EDTA-sensitive. On the other hand, the very low levels of the enzyme retained by the mycelium grown on buffered medium at pH 5.0-5.2 suggest that this enzyme is encoded by an alkaline gene, i.e., a gene responsive to ambient pH signaling.
The effects of diets with variable zinc levels on the midgut epithelial cells were studied in Oreochromis niloticus L. One hundred and twenty fry of tilapia were apportioned into 4 experimental groups (I, II, III and IV groups), with 30 fish in each treatment, 5 replicate aquaria per treatment containing 6 fish each. The animals of the 4 groups were fed with isonitrogenous (30% crude protein) and isoenergetic (3000 Kcal/Kg of digestible energy) diets with increasing quantities of zinc (44.59; 149.17; 309.93; 599.67 mg Zn/kg of diet), twice a day, for 93 days. Three fish from each group were sacrificed at 36, 66 and 93 days and samples of midgut were removed for ultrastructural analysis. After 93 days of treatment, 3 animals of each experimental group were used for the analysis of zinc concentration by atomic absorption spectrophotometry. The comparative relative index (CRI) revealed that the animals in groups II, III and IV contained, respectively, 1.99%, 34.67% and 22.78% more zinc than the mean concentration in animals from group I. The ultrastructural analysis showed enterocytes with swelling of smooth surfaced endoplasmic reticulum and dilated mitochondria with variable matrix rarefaction and cristae number reduction in the fish exposed to 599.67 mg Zn/Kg of diet at 66 and 93 days of treatment.
A method is described for the simultaneous determination of Cd, Cr, Ni and Pb in mineral water samples by graphite furnace atomic absorption spectrometry with a transversely heated graphite atomizer (THGA) and a longitudinal Zeeman-effect background correction system. The electrothermal behavior of analytes during pyrolysis and atomization steps was studied without modifier, in presence of 5 μg Pd and 3 μg Mg(NO3)2 and in presence of 50 μg NH4H2PO4 and 3 μg Mg(NO3)2. A volume of 20 μL of a 0.028 mol L -1 HNO3 solution containing 50 μg L-1 Ni and Pb, 10 μg L-1 Cr and 5 μg L-1 Cd was dispensed into the graphite tube at 20°C. The mixture palladium/magnesium was selected as the optimum modifier. The pyrolysis and atomization temperatures were fixed at 1000°C and 2300°C, respectively. The characteristic masses were calculated as 2.2 pg Cd, 10 pg Cr, 42 pg Ni and 66 pg Pb and the lifetime of the graphite tube was around 600 firings. Limits of detection based on integrated absorbance were 0.02 μg L-1Cd, 0.94 μg L-1 Cr, 0.45 μg L-1 Ni and 0.75 μg L-1 Pb, which exceeded the requirements of Brazilian Food Regulation that establish the maximum permissible level for Cd, Cr, Ni and Pb at 3 μg L-1, 50 μg L-1, 20 μg L-1 and 10 μg L-1, respectively. The recoveries of Cd, Cr, Ni and Pb added to mineral water samples varied within the 93-108%, 96-104%, 87-101% and 98-108% ranges, respectively. Results of analysis of standard reference materials (National Institute of Standards and Technology: 1640-Trace Elements in Natural Water; 1643d-Trace Elements in Water) were in agreement with certified values at the 95% confidence level.